Dead Ready Productions

+44 (0)208 339 6139

'''
VASP calculation (GGA+U) on MnPdO2 after structural relaxation.

Values from the calculation:
The space-group type is No. 60.

abc: 6.2856 5.6576 5.5387
angles: 90.00 90.00 90.00
Site moments in Bohr magnetons follow the coordinates.
Positions (direct):
Mn 0.2500 0.8087 0.9373  4.58
Mn 0.7500 0.1913 0.4373  4.58
Mn 0.2500 0.3087 0.4373  4.58
Mn 0.7500 0.6913 0.9373  4.58
O 0.5386 0.9271 0.1124  0.03
O 0.4614 0.0729 0.6124  0.04
O 0.9614 0.4271 0.6124  0.03
O 0.0386 0.5729 0.1124  0.04
O 0.9614 0.9271 0.7626  0.04
O 0.0386 0.0729 0.2626  0.03
O 0.5386 0.4271 0.2626  0.04
O 0.4614 0.5729 0.7626  0.03
Pd 0.0000 0.2500 0.9375  0.09
Pd 0.0000 0.7500 0.4375  0.09
Pd 0.5000 0.7500 0.4375  0.09
Pd 0.5000 0.2500 0.9375  0.08

---

VASP calculation (GGA+U) on MnPdO2 after structural relaxation.

Values from the calculation:
The space-group type is No. 15.

abc: 16.9289 6.8388 6.8388
angles: 111.97 133.40 46.60
Site moments in Bohr magnetons follow the coordinates.
Positions (direct):
Mn 0.1246 0.2714 0.2704  4.06
Mn 0.3754 0.7704 0.7714  4.08
Mn 0.8754 0.7286 0.7296  4.07
Mn 0.6246 0.2296 0.2286  4.08
Mn 0.3680 0.2537 0.7563  4.02
Mn 0.1320 0.2563 0.7537  4.03
Mn 0.6320 0.7463 0.2437  4.02
Mn 0.8680 0.7437 0.2463  4.03
O 0.0107 0.6529 0.7248  -0.09
O 0.4893 0.2248 0.1529  -0.10
O 0.9893 0.3471 0.2752  -0.09
O 0.5107 0.7752 0.8471  -0.10
O 0.7710 0.1302 0.2514  -0.12
O 0.7290 0.7514 0.6302  -0.12
O 0.2290 0.8698 0.7486  -0.12
O 0.2710 0.2486 0.3698  -0.12
O 0.5289 0.6595 0.1962  -0.10
O 0.9711 0.6962 0.1595  -0.11
O 0.4711 0.3405 0.8038  -0.10
O 0.0289 0.3038 0.8405  -0.11
O 0.7500 0.1461 0.6461  -0.08
O 0.2500 0.8539 0.3539  -0.08
O 0.7500 0.7823 0.2823  0.00
O 0.2500 0.2177 0.7177  0.00
Pd 0.3794 0.5517 0.2677  -0.10
Pd 0.1206 0.7677 0.0517  -0.13
Pd 0.6206 0.4483 0.7323  -0.10
Pd 0.8794 0.2323 0.9483  -0.13
Pd 0.4164 0.9275 0.3242  -0.12
Pd 0.0836 0.8242 0.4275  -0.15
Pd 0.5836 0.0725 0.6758  -0.12
Pd 0.9164 0.1758 0.5725  -0.15

---

VASP calculation (GGA+U) on MnPdO3 after structural relaxation.

Values from the calculation:
The space-group type is No. 221.

abc: 3.6742 3.6742 3.6742
angles: 90.00 90.00 90.00
Positions (direct):
Mn 0.0000 0.0000 0.0000
O 0.0000 0.5000 0.0000
O 0.0000 0.0000 0.5000
O 0.5000 0.0000 0.0000
Pd 0.5000 0.5000 0.5000

---

VASP calculation (GGA+U) on MnPd3O after structural relaxation.

Values from the calculation:
For the offset from the most stable computed form, the calculation gives 0.000 eV per atom. The space-group type is No. 221.

abc: 4.2338 4.2338 4.2338
angles: 90.00 90.00 90.00
Site moments in Bohr magnetons follow the coordinates.
Positions (direct):
Mn 0.5000 0.5000 0.5000  4.58
O 0.0000 0.0000 0.0000  0.01
Pd 0.0000 0.5000 0.0000  0.04
Pd 0.0000 0.0000 0.5000  0.07
Pd 0.5000 0.0000 0.0000  0.08

---

VASP calculation (GGA+U) on Mn2Pd3O8 after structural relaxation.

Values from the calculation:
The space-group type is No. 12.

abc: 5.2665 5.9754 5.9754
angles: 61.46 78.11 78.11
'''
• The materials data stop here:


5 Video Content Marketing Ideas For Software Brands To Use

In the latest of our Marketing Tips vlog series, Chris Tongue, Creative Director at Dead Ready Productions, explains 5 video content ideas that software brands should implement into their marketing strategy.

The content of which can be found below.

Hi! This time we’re going to look at 5 video content ideas that suit software brands.

Software platforms are becoming more and more powerful, but with that comes complexity.

Video offers the opportunity to highlight the benefits of your offering without having to send a sales rep to do a demo.

So here are 5 ideas for demystifying the power of your software through video.

1. Promo

The promotional video for your product is the banner advert for your product. This video should offer a teaser of the power of your products and excite your audience.

Don’t worry about granular detail here, just make sure that your product looks impressive; consider representing key facets of your product through metaphor and don’t be afraid to swing for the fences – this really is an advert for your product, so make it look great!

2. Case Study

As is so often true in video marketing, case studies present a really compelling reason for your potential clients to buy your product.

A plane-wave DFT calculation with GGA+U was carried out for a relaxed structure of V5O12.

Results
Offset from the most stable computed form in meV per atom: 36

Geometry as POSCAR:
```
V5O12
1.0
5.092 -4.433 0.000
5.092 4.433 0.000
-2.088 0.000 5.622
V O
5 12
direct
0.000 0.000 0.000 V
0.134 0.466 0.017 V
0.295 0.272 0.492 V
0.534 0.866 0.983 V
0.728 0.705 0.508 V
0.022 0.712 0.042 O
0.103 0.100 0.325 O
0.277 0.406 0.793 O
0.288 0.978 0.958 O
0.294 0.442 0.300 O
0.512 0.135 0.516 O
0.558 0.706 0.700 O
0.594 0.723 0.207 O
0.711 0.041 0.049 O
0.865 0.488 0.484 O
0.900 0.897 0.675 O
0.959 0.289 0.951 O
```

A plane-wave DFT calculation with GGA+U was carried out for a relaxed structure of CsY2CoO.

Geometry as POSCAR:
```
CsY2CoO
1.0
5.612 0.000 0.000
0.000 5.612 0.000
0.000 0.000 4.380
Cs Y Co O
1 2 1 1
direct
0.000 0.000 0.000 Cs
0.000 0.500 0.000 Y
0.500 0.000 0.000 Y
0.000 0.000 0.500 Co
0.500 0.500 0.500 O
```

DFT total energy
In order: -127.2 -14.5
Unit: eV/cell
Total moment
In order: 0.059 0.000
Unit: μB per atom
Back to the page:

Firstly, identify your evangelists from your existing client base and incentivise them to be involved by offering them something of value as a thank you.

Send your production team to their place of business and shoot an interview with your customer, plus loads of content of the software in action, helping your customer achieve their business goals.

Potential customers relate to these videos and they can be a massive sales driver.

3. Demos

These videos are often animated demonstrations of how your software works when addressing a common issue your clients face.

These videos should be seen as mini-showreels for different corners of the software so make sure you keep the production values

4. Tips

This is where the granular detail comes in. Help your customers see how easy it is to work with your programme by demonstrating how to use the software to complete common tasks.

These easily can be shown through screen capture videos recorded by your sales team – just make sure that they are recorded clearly using a professional microphone, not the mic on the laptop.

5. Update Vlogs

Make sure that your customers are informed and excited by any new developments or features by creating a regular vlog.

Your customers will always be interested in new features so humanise your brand by going on camera and talking to them directly.

So, there you are, 5 video ideas for software content campaigns.

For more helpful information, top tips and useful guides on video production, keep an eye out for our next vlog – coming soon!

If you would like to discuss how Dead Ready Productions could help you to further enjoy the benefits of video for your business, please get in touch via the button below or by calling +44 (0)208 339 6139.


Publishing Your Video – What To Check Before You Share It With The World

Once all stakeholders have had their say and the content of a video has been signed off, you don’t want to waste any time before publishing your video to the world.

However, it’s worth making sure you do a few things first, before you go ahead.

Mike Plenty, Managing Director at Dead Ready Productions, explains the steps you should take in our latest 60 second production tips vlog. The content of which can be found below.

1. Tell your production company

Your video production team will be best positioned to advise that the video is ready to distribute.

There may be elements of the video content that are still in a draft format, or require licensing, which they will need to address.

2. Check titles and web addresses

People often go by different job titles depending on the context, so make sure everyone who appears is happy with how their name appears in the video.

Also, check that all URLS and social media handles are correct.

3. Use the highest quality version

Don’t make the mistake of posting a low-resolution version of the video file online.

Always use the highest quality you can – video platforms can scale videos down if needed to meet different bandwidths, but they can’t scale up.

4. Download and keep an offline copy

Make sure you have a copy of the video file that you can keep on a local drive or server.

This gives you peace of mind and means you’re not reliant on always having an internet connection to watch the video.

For more top tips, helpful information and useful guides on video production, keep an eye out for our next vlog – coming soon!

In the meantime, if you have a filming brief, or you would like to find out more about the animation, photography and graphic design services Dead Ready Productions can offer your business, simply get in touch via the button below or by calling +44 (0)208 339 6139.